### Work order
Next, say how many lines of the contents further down hold the word "atoms", as a bare number.

### Material
____________
Formula: C28H77N7O7
Source: the OMol25 dataset
Level of theory: the ωB97M-V functional and the def2-TZVPD basis

Each line ends with the Löwdin charge.
Positions of all 119 atoms, in Å:
C 2.091 1.364 -3.380  -0.0907
C 2.430 1.853 -4.798  -0.4142
C 3.812 2.545 -4.858  -0.2548
O 4.241 2.879 -6.163  -0.2119
C 5.417 3.692 -6.202  -0.1309
N 2.431 0.709 -5.724  0.0233
H 1.984 2.179 -2.665  0.0593
H 2.872 0.659 -3.094  0.0646
H 1.182 0.764 -3.368  0.0495
H 1.695 2.483 -5.299  0.1323
H 4.666 2.014 -4.438  0.1122
H 3.842 3.438 -4.232  0.1094
H 5.200 4.751 -6.057  0.0851
H 5.707 3.668 -7.253  0.0745
H 6.283 3.218 -5.740  0.0848
H 2.640 1.140 -6.613  0.0696
H 3.165 0.077 -5.438  0.0801
C 1.523 -4.289 -1.694  -0.0402
C 0.154 -4.682 -0.976  -0.3719
C 0.265 -5.046 0.506  -0.2106
O 0.887 -6.312 0.700  -0.1815
C 1.039 -6.569 2.057  -0.1613
N -0.765 -3.530 -1.128  0.0534
H 1.757 -3.317 -1.258  0.0587
H 1.343 -4.090 -2.750  0.0578
H 2.305 -4.979 -1.376  0.0655
H -0.300 -5.581 -1.392  0.1269
H -0.701 -4.966 1.006  0.1204
H 0.914 -4.348 1.035  0.1012
H 1.673 -5.895 2.634  0.0830
H 1.527 -7.544 2.083  0.0816
H 0.075 -6.759 2.530  0.0814
H -0.727 -3.201 -2.083  0.0390
H -0.471 -2.746 -0.564  0.0224
C 4.706 1.538 3.782  -0.1352
C 5.870 1.984 2.957  -0.4719
C 6.927 2.711 3.844  -0.2090
O 6.305 3.886 4.348  -0.2042
C 7.107 4.736 5.065  -0.1589
N 6.369 0.762 2.303  0.0239
H 4.242 2.348 4.344  0.0703
H 4.936 0.698 4.438  0.0711
H 3.883 1.244 3.130  0.0606
H 5.425 2.692 2.257  0.1201
H 7.774 2.980 3.213  0.1112
H 7.185 1.961 4.591  0.1173
H 8.110 4.817 4.645  0.0788
H 7.116 4.310 6.068  0.0864
H 6.650 5.723 5.000  0.0869
H 7.284 0.860 1.887  0.0493
H 6.562 0.067 3.010  0.0488
C -0.999 -0.034 -0.559  -0.0427
C -1.388 -0.588 0.807  -0.4153
C -0.235 -0.686 1.780  -0.2027
O 0.602 -1.760 1.310  -0.2122
C 1.801 -1.742 1.969  -0.1856
N -2.394 0.309 1.426  0.0494
H -0.619 0.974 -0.394  0.0813
H -1.842 -0.090 -1.247  0.0566
H -0.183 -0.564 -1.052  0.0686
H -1.885 -1.558 0.825  0.1223
H -0.619 -0.920 2.773  0.1138
H 0.240 0.291 1.864  0.1135
H 1.697 -2.236 2.934  0.0760
H 2.189 -0.725 2.023  0.0770
H 2.554 -2.334 1.448  0.0753
H -3.164 0.461 0.789  0.0520
H -2.732 -0.074 2.297  0.0316
C -3.850 2.866 -0.380  -0.0885
C -3.643 3.537 0.915  -0.4687
C -4.643 3.178 2.046  -0.1906
O -5.968 3.547 1.778  -0.1888
C -6.963 2.999 2.563  -0.1433
N -2.267 3.444 1.310  0.0407
H -3.577 1.814 -0.463  0.0485
H -3.146 3.295 -1.093  0.0789
H -4.854 3.058 -0.760  0.0811
H -3.724 4.582 0.617  0.1337
H -4.382 3.829 2.880  0.1206
H -4.650 2.099 2.201  0.1064
H -7.870 3.566 2.354  0.0850
H -6.695 3.147 3.610  0.0788
H -7.242 1.960 2.387  0.0809
H -2.166 3.861 2.224  0.0571
H -2.012 2.475 1.438  0.0274
C -1.628 -2.267 -7.219  -0.0663
C -0.624 -1.519 -6.368  -0.4873
C -0.379 -2.051 -4.918  -0.1560
O -1.540 -2.093 -4.059  -0.2283
C -2.261 -0.835 -3.970  -0.0912
N 0.646 -1.484 -7.015  0.0197
H -1.295 -3.292 -7.377  0.0790
H -1.791 -1.756 -8.169  0.0734
H -2.606 -2.368 -6.748  0.0715
H -0.951 -0.481 -6.418  0.1196
H 0.332 -1.435 -4.367  0.1055
H -0.002 -3.066 -5.041  0.1217
H -1.456 -0.133 -3.754  0.0695
H -2.992 -0.814 -3.162  0.0814
H -2.621 -0.525 -4.951  0.0697
H 0.514 -1.092 -7.936  0.0660
H 1.111 -0.671 -6.635  0.0160
C -4.069 1.078 4.601  -0.0799
C -5.166 -0.018 4.665  -0.4195
C -4.621 -1.448 4.621  -0.1882
O -3.672 -1.595 3.538  -0.2219
C -3.273 -2.945 3.301  -0.1065
N -5.885 0.151 5.916  0.0201
H -4.464 2.094 4.611  0.0545
H -3.421 0.985 3.730  0.0410
H -3.399 1.020 5.459  0.0729
H -5.805 0.160 3.799  0.1253
H -5.478 -2.071 4.365  0.1212
H -4.269 -1.707 5.619  0.1193
H -3.807 -3.398 2.466  0.0860
H -3.304 -3.582 4.184  0.0836
H -2.251 -2.834 2.940  0.0716
H -6.227 1.094 6.038  0.0612
H -5.321 0.015 6.742  0.0638

Calculated values
Multiplicity   2
Kohn-Sham gap (spin up / spin down)   1.478 / 9.008 eV
Electronic energy   -2022.72855 Ha
Max |F|   2.445 eV/A
Net charge   -1
LUMO (spin up / spin down)   2.401 / 2.371 eV
____________

### Worked solution
1